For those of you swimming in Masters workouts and want to continue to incorporate TI learnings and principles, here are some tips:
General Tips:
1. Practice maintaining mental focus on each lap, to do whatever it is you are practicing for those lengths or laps.
2. Train your brain to keep active for the entire workout. Resist drifting off.
3. Practice counting strokes for each length, and remembering them by the end of the workout.
4. If stroke counting and other data you want to remember is hard, buy a waterproof notebook and waterproof pen from amazon and write things down. I would not recommend regular pen and paper. Paper will disintegrate upon contact with water, and regular pens won’t write on soaked paper.
5. Focus on continual improvement. Know when you are slipping or getting tired. Change your routine if it is getting monotonous.
6. Know when to get out of the pool. Our energy and skill ebb and flow day by day. Sometimes it’s better to just get out of the pool and – most importantly – do not keep imprinting bad swim habits for the sake of lasting through a workout.
7. Swimming has a energy system training component, but until your swimming skill has reached a decent level, it is more important to train the nervous system FIRST so that your body can make the correct swimming movements before you worry about extending perfect swim habits over time. Swimming poorly at higher stroke rates in an attempt to increase speed will result in exponential energy usage but with very little speed increase, or perhaps even decrease. It will also raise the probability of injury.
8. Training for short distance sprints versus for longer distance (ie. triathlon swim leg) versus for marathon swims (ie. swim around Manhattan) all have common elements and different elements. Don’t mistake the training that many coaches might do for pool swimming for optimal swim training for long distance.
9. Get to know your stroke counts at given tempos and lengths (ie. 25y, 50m). Take some time to setup a tempo/SPL matrix.
10. Having a Tempo Trainer (TT) means you can have consistency between workouts and know if your skill has increased or decreased day by day. Without the TT, it can be very hard to know if you’re really swimming better or not. Or if you’re having an off day.
11. Get used to swimming with the TT. It can be annoying/distracting/unfamiliar to be swimming to a task master like the TT whose beep forces you to swim to its tune, not to your own. I swim with the TT all the time now and can’t imagine swimming without it for workouts.
12. Get to know the Masters coach. Does he/she care if you break from doing his workouts exactly or does he come over to yell at you if you don’t swim his instructions? Does he let you not swim with tools if you want? Can you swim a set in freestyle even if he calls out back/breast/fly?
Are you able to ignore his instructions or yelling if he comes over and sees you not following your instructions exactly?
Does he comment on your little TT gadget and then make disparaging remarks about it? Or does he even comment on you “swimming TI” and how TI sucks?
### The piece is interrupted by molecular data
- - -
Record 1
{
  "formula": "C22H63F2NO26PtS2",
  "method": "wB97M-V/def2-TZVPD",
  "symbols": ["Pt", "C", "C", "O", "O", "H", "H", "H", "N", "S", "O", "O", "F", "S", "O", "O", "F", "C", "C", "O", "O", "H", "H", "H", "H", "H", "H", "C", "C", "O", "O", "H", "H", "H", "H", "H", "H", "C", "C", "O", "O", "H", "H", "H", "H", "H", "H", "C", "C", "O", "O", "H", "H", "H", "H", "H", "H", "C", "C", "O", "O", "H", "H", "H", "H", "H", "H", "C", "C", "O", "O", "H", "H", "H", "H", "H", "H", "C", "C", "O", "O", "H", "H", "H", "H", "H", "H", "C", "C", "O", "O", "H", "H", "H", "H", "H", "H", "C", "C", "O", "O", "H", "H", "H", "H", "H", "H", "C", "C", "O", "O", "H", "H", "H", "H", "H", "H"],
- - -
### The piece goes on
It may be time to switch Masters workouts – your goal is to swim better, not to be berated for attempting to improve your swimming. IMHO a great coach should be open to new ideas and not be dismissive. In any case, unless you are specifically on a swim team driven by this coach, you should have more freedom on how you swim his workouts.
If you don’t have a TT, use these tips:
1. Before you start the workout, have a set of things you want to workout during the Masters workout. Generally, these boil down to focal points which will help you practice great swim form and habits.
2. For each interval, pick a focal point or set of focal points. Maintain the focal point for the entire length or lengths.
3. As you pause at the wall, select the next focal point, or keep you current focal point. You may want to practice the same focal point for many laps/lengths/intervals.
4. As your ability to swim with focal points increases, you can start trying to employ more than one focal point within a given swim set.
a. The first method would be to rotate between focal points, changing after each length. Ex. for a 150m lap, you would do focal point 1 for the 1st 50, focal point 2 for the 2nd 50, then back to focal point 1 for the 3rd 50.
b. A more advanced method would be to try to swim any given length while focusing on 2 more focal points at once.
5. Count strokes for each length. For TI, we like to count when the lead arm spears forward as one stroke.
a. Generally the first length seems to always be one stroke less. It is most likely the result of strong initial pushoff plus the length you are swimming with the most energy.
b. If you have a TT, we usually push off on a beep, let one beep go by while gliding, then pull one arm back on the 2nd beep, and our first official counted stroke is on the 3rd beep. This works for tempos of 1.2s or higher (or slower tempo). For faster tempo, we sometimes let another beep go by.
In general, you want to start stroking at about the same point in a pool length, which is usually around where the flags are. If you start stroking at different points in the lane, you’ll find your stroke count could vary by 1-2 on this fact alone.
If you have a TT, use these tips:
Use the tips for without the TT and combine with the below:
Warm Up Set:
1. Use the warm up set to determine your easy and cruise tempo for the day. It may be your usual easy and cruise tempos, or it may have changed due to other factors like fatigue.
2. Determine how many lengths or laps you can swim for your warmup. Start with your easy tempo. Aim to increase your tempo each length or lap until you hit your cruise tempo. So do some quick math and know the increment you want to increase tempo with, and adjust the TT after every length or lap.
Do not be afraid to not increase the TT if you are not feeling comfortable just yet. Swim another lap and see if adaptation occurs on this or the next length/lap.
If for some reason you’re just not able to increase it, you may have reached your current neural threshold. This is a data point for use later during the set.
3. You can use the warm up set to employ some focal points to fine tune your technique for the main set. This can also be a good time to see which focal points you need more work with, or less.
Main Set:
== Data records, kept here for reference ==
'''
11 unconnected molecules or ions with the total composition C32H94N8O14S in a non-equilibrium geometry, computed with wB97M-V/def2-TZVPD.

Atoms and positions in Å:
O  -0.289  1.774  -3.128
H  0.213  1.312  -2.370
H  -1.274  1.633  -3.060
H  -0.134  2.727  -2.990
O  1.344  0.924  2.869
H  0.531  0.538  3.310
H  1.140  1.618  2.164
H  1.945  0.215  2.424
S  -0.259  0.951  0.066
O  0.415  2.050  0.814
O  -0.490  -0.142  1.010
O  -1.530  1.452  -0.487
O  0.592  0.515  -1.081
C  -3.649  1.985  -5.319
C  -3.712  1.707  -3.807
C  -3.426  0.277  -3.406
O  -2.145  -0.161  -3.779
C  -1.735  -1.280  -3.008
N  -2.884  2.682  -3.088
H  -4.557  1.771  -5.885
H  -2.746  1.636  -5.818
H  -3.684  3.073  -5.450
H  -4.747  2.009  -3.599
H  -4.250  -0.301  -3.849
H  -3.644  0.119  -2.343
H  -2.276  -2.174  -3.343
H  -1.987  -1.219  -1.946
H  -0.676  -1.468  -3.174
H  -3.157  3.615  -3.378
H  -3.142  2.689  -2.109
C  2.308  -4.224  -1.401
C  1.009  -3.700  -0.850
C  0.328  -4.693  0.093
O  -0.165  -5.847  -0.596
C  -0.971  -6.684  0.212
N  1.248  -2.372  -0.251
H  2.723  -3.577  -2.177
H  2.100  -5.124  -1.992
H  3.025  -4.564  -0.654
H  0.301  -3.557  -1.676
H  -0.520  -4.141  0.523
H  0.929  -5.050  0.933
H  -0.492  -6.964  1.153
H  -1.183  -7.579  -0.369
H  -1.919  -6.207  0.478
H  1.322  -1.682  -0.995
H  0.412  -2.024  0.219
C  2.996  4.374  1.283
C  2.274  5.012  0.095
C  3.279  5.806  -0.790
O  3.768  6.876  0.009
C  5.175  7.047  -0.087
N  1.592  3.971  -0.667
H  2.293  3.667  1.720
H  3.401  5.080  2.007
H  3.809  3.771  0.867
H  1.544  5.787  0.337
H  2.678  6.329  -1.539
H  4.023  5.134  -1.225
H  5.617  6.160  0.373
H  5.430  7.914  0.523
H  5.524  7.283  -1.095
H  2.310  3.432  -1.145
H  1.176  3.238  -0.065
C  3.764  -2.157  2.802
C  4.126  -1.150  1.741
C  4.881  -1.858  0.563
O  5.457  -1.012  -0.377
C  6.088  -1.698  -1.440
N  2.928  -0.421  1.301
H  3.360  -1.712  3.716
H  4.610  -2.763  3.130
H  2.946  -2.818  2.505
H  4.893  -0.407  1.982
H  4.093  -2.476  0.110
H  5.587  -2.543  1.047
H  5.416  -2.495  -1.779
H  6.985  -2.206  -1.074
H  6.318  -1.033  -2.267
H  2.271  -1.048  0.822
H  3.212  0.333  0.675
C  -4.806  4.420  1.851
C  -4.169  3.202  1.213
C  -4.999  2.401  0.192
O  -6.035  1.722  0.847
C  -6.730  0.794  0.031
N  -2.915  3.610  0.558
H  -4.965  5.193  1.095
H  -4.198  4.903  2.614
H  -5.791  4.159  2.244
H  -3.973  2.443  1.981
H  -4.245  1.687  -0.170
H  -5.367  2.906  -0.711
H  -7.483  0.364  0.688
H  -6.175  -0.031  -0.428
H  -7.212  1.327  -0.795
H  -2.270  3.935  1.273
H  -2.383  2.794  0.206
C  1.005  -1.383  5.753
C  0.193  -1.601  4.466
C  -0.640  -2.855  4.442
O  0.198  -3.998  4.433
C  -0.521  -5.157  4.078
N  -0.566  -0.341  4.300
H  1.676  -2.228  5.935
H  0.403  -1.353  6.665
H  1.618  -0.488  5.665
H  1.038  -1.596  3.773
H  -1.245  -2.872  3.530
H  -1.298  -2.893  5.318
H  -1.189  -4.999  3.226
H  -1.135  -5.597  4.871
H  0.215  -5.905  3.786
H  -1.236  -0.400  3.519
H  -1.228  -0.182  5.053
C  -5.045  -1.313  2.996
'''
1. Get to know your tempos for the various effort levels a Masters coach might designate for a set. These might be easy, cruise, tempo, fast, strong, sprint, etc. These will also vary by length. Ex. you might be able to sprint at .7s tempo for 50m but you have a hard time sustaining that for 100m so you set at .8s.
Note this changes day to day based on fitness/fatigue level, and also as your skill grows.
2. Upon hearing the set, think quickly on the tempo(s) you will use, adjust the TT before you swim.
3. Depending on the set, you may or may not need to adjust the TT.
Sometimes you may go out too fast a tempo for a given set or fitness/fatigue level. You may need to pause at the wall to readjust tempo.
4. The easiest sets to swim with the TT are the ones that have a pause at the wall, which is time for you to be able to adjust the TT. So 3×50 descend 1-2-3 on 1:50 interval would have pauses between 50s to speed up tempo to aid in the descend.
The more difficult, if not impossible sets, are the ones that vary speed without you pausing at the wall. For example, a set which is 150s descending 50s would be tough to stop in between the lengths to adjust the TT. In situations like this, I would recommend one of two options:
a. Don’t adjust the TT. Just swim the entire 150 at one tempo. Note that this may cause yelling at you by the coach.
b. Set the TT at the starting tempo which is slower. Then attempt to “beat the beep” on the subsequent lengths. You could set it at the ending tempo but I find that it is more comfortable to start with the slower beep and then beat it on the subsequent lengths.
5. TI discourages the use of tools like fins and paddles. Depending on the situation, they have their uses. However, they do tend to interfere with developing the finer points of swimming that we teach. You should consider not swimming with them even during sets which require them.
6. If you are primarily a freestyle swimmer, consider free for sets that are back/breast/fly. You should essentially practice free as much as possible to get better at it. This may also result in a yelling session from your coach.
7. Over the time of a Masters workout, I like to end up at a faster tempo than when I started. This is because:
a. As my nervous system adapts, I can generally sustain higher tempos.
b. Pushing higher tempos challenges my neural threshold. My goal is to maintain form at higher tempos which in theory means I should be swimming faster.
c. Over the course of a race, you always want to end up either at the same effort level or higher by the end. Most of your competitors won’t have trained that way and will fizzle while you will be experiencing rising energy and, hopefully, speed.
So start with Easy->Cruise during Warm Up. Then start the first sets at cruise tempo and eventually end up faster than that, probably ending up at tempo which may end up being the new cruise tempo by the end of the workout, maybe even sprint tempo if the coach designates some sprints at the end.
8. Don’t increase tempo or back off to previous tempo if your nervous system isn’t adapting to the new tempo. Evidence is speed drop off, form breaks down, extra effort or discomfort experienced, etc. However, be patient. Try again in a set or two. Sometimes a little more time needs to happen before adaptation.
Having said that, if you just increased tempo and finding it tough to adapt AND you feel good still, try swimming a length or 2 or 3 at the new faster tempo. You may adapt after a few more lengths.
8. Be mindful of stroke counts and times to swim a length or lap. Practice using your brain to keep track of both as much as possible to know when your form is slipping. For example, a stroke count increase of 2 or more between lengths probably means your form faltered on that length, if the tempo remained constant. Another example: if you stroked at a faster tempo but your time to swim the length remained the same as with a slower tempo, was that a good set or bad?
Cool Down:
1. Simple method is to set it very slow and swim but with the same mindfulness. The aim is to swim technique-wise the same whether slow tempo or fast. But swimming slowly will cool you down.
2. Turn off the TT and swim slowly.
3. Practice minimizing stroke count with and without the TT.
4. Use focal points but with slower tempo for cool down.
Monthly Archives: April 2013
ARPWave and EVOUltrafit: Rehab and Training via Electrostim
In my journey to find the ultimate and most efficient training methods, I came across the next stop in my quest at Dave Asprey’s Bulletproof Conference back in January. There I met Dr. Justin Marchegiani of Just In Health and Jay Schroeder and Charles Maka of EVOultrafit.
Both of them specialize in using electrostim devices made by ARPWave to enhance treatment of muscle and movement issues and results in training. Yes, think Rocky IV where they had shots of Dolph Lundgren training with electrostim pads stuck to his chest! This is, of course, the real thing. Apparently, the Russians had pioneered the use of electrostim in training many years back. Now here with ARPWave, they have brought this to the public here in the US and it works great. Rather than attempting the long explanation of how it works, see the ARPWave How It Works description.
Dr. Justin is a chiropractor and nutritionist and he trained under Dr. Jay Pietila in his In-Balance system which uses the ARP devices to first determine where muscle imbalances are, and, then, to treat them. The In-Balance Technique can evaluate “neurological signaling from the brain to the body” and determine if they are balanced via strategic placement of the electrodes and moving them around the body. Injuries and rehabilitation can both also be done with similar methods.
I went to Dr. Justin for several treatments and it was fascinating to see him probe my body with the electrodes, sometimes seeing myself jump in reaction. These were areas of concern and showed dysfunction and imbalances. He then stuck electrodes on those areas, turned up the power, and then had me do movements. With the power cranked, compensation patterns appear and I was forced to do the movements correctly, without compensation patterns and fighting through the intensity of the electrostimulation (see more info on ARP Therapy). The sessions were so intense that I had delayed onset muscle soreness for days after! Not sleeping enough, nor eating enough didn’t help my recovery. But after about the 3rd visit, I started seeing some great results.
For example, I had a nagging problem with my TFL (Tensor Fasciae Latae) muscle, a small muscle on my hip. It always seemed to be firing and was taut all day long, which is pretty annoying. I tried everything to get it to calm down but nothing really worked. With Dr. Justin’s probing, we figured out that it was not the TFL but my Sartorius muscle, which attaches in the same place as the TFL. He hooked that muscle up, stimmed the hell out of it while forcing me to walk in place and do squats. Soon after (well, after the soreness went away!) I didn’t feel my TFL/Sartorius any more!
Around the same time, I began a training program with Jay and Charles at EVOUltrafit. And of course I had to own one of these electrostim bad boys myself – so I plunked down some cash to get one and wanted to see if training the EVO way would help rid myself of some nagging problems I’ve had, like cramping out in the last half of marathons. But also, according to Jay and Charles, the use of the electrostim machine not only prepares me physically for athletic pursuits, it also stimulates my CNS (central nervous system) and all sorts of other things start to work better, like my glands, hormones, digestion, cognition, and thinking. I didn’t care about the cost – this sounded like the answer to all my problems all at once! I bought one of their POVsport devices, which is the consumer version of the electrostim devices.
![]() Jay Schroeder |
![]() A table full of POVs! |
![]() Charles Maka hooking me up |
![]() Compensatory action! |
I submitted a thorough evaluation. I ran set distances, and did some physical tests. I also submitted videos of me doing some typical workouts. It wasn’t pretty. They wanted to see me hop on one leg, on two legs, sprint some distances – pretty bad since I hadn’t done anything for months!
They came back with a program that uses what they call “isoextremes” which are isometric hold type exercises. The four I started with are:
1. Standing Push Up
2. Wall Squat
3. Scapular Pull Up
Misplaced calculated molecules:
********
Record 1
DFT (ωB97M-V/def2-TZVPD) results for a structure of composition C16H18N4O2Zr at a distorted geometry.

The geometry in XYZ format:
```
41
Properties=species:S:1:pos:R:3:forces:R:3
H -2.647 0.035 1.748 -0.079 -0.140 0.054
H -4.636 -3.404 -3.755 0.076 0.247 0.136
C -1.382 1.102 -1.149 -5.645 3.871 -5.407
H -1.584 -2.101 1.749 0.010 0.159 0.059
C -0.061 -0.029 5.360 -2.400 -1.552 1.935
C -1.564 0.020 1.836 -1.597 0.230 -0.152
H 0.929 -0.528 5.664 -0.680 0.679 -0.553
C 0.463 1.278 2.167 -0.568 -2.478 1.583
C 0.425 -1.477 1.838 1.876 -1.495 -1.788
Zr 0.267 0.134 -0.019 1.528 0.718 1.488
C -0.934 1.254 1.831 0.395 2.119 -1.707
H 0.096 6.651 -2.350 0.081 -0.260 0.033
C -0.291 -0.142 3.948 1.967 0.989 2.536
N -3.174 -1.534 -1.657 1.222 0.605 0.959
C -4.691 -2.315 -3.634 -0.067 -0.040 -0.068
H 0.385 5.493 -3.673 0.030 -0.022 0.254
N 3.232 -2.032 -0.986 -0.054 0.177 -0.523
H 1.751 6.112 -2.714 -0.212 -0.181 0.122
O -2.104 1.675 -1.870 4.152 -3.363 4.400
C 5.010 -2.990 -2.655 0.192 -0.126 -0.147
C -0.003 -1.771 -1.137 -0.484 -6.767 -5.357
O -0.007 -2.696 -1.855 -0.017 5.361 4.397
C 1.327 -0.408 2.151 -2.370 1.274 1.909
H 5.587 -3.803 -2.195 -0.217 0.193 0.017
C 0.544 4.679 -1.739 -0.069 -1.300 1.066
C 4.017 -2.462 -1.724 -0.474 0.364 0.500
H 5.712 -2.201 -2.959 -0.232 -0.095 0.167
C -3.833 -1.874 -2.526 -1.000 -0.506 -1.115
H -4.370 -1.844 -4.570 -0.006 -0.057 0.247
H -0.893 -0.522 5.919 0.688 0.548 -0.059
H 2.357 -0.412 2.393 1.532 -0.242 -0.717
C 0.702 5.792 -2.665 0.030 0.306 -0.184
H -5.738 -2.043 -3.450 0.296 0.004 0.097
H 4.518 -3.381 -3.554 0.016 0.091 0.245
C -0.937 -1.225 1.833 -0.928 -1.590 -0.191
H 1.087 2.089 2.382 1.039 1.752 -0.577
H -1.483 2.198 2.032 0.209 -0.445 -0.962
H 0.820 -2.490 2.070 -0.222 0.383 -1.054
H 0.008 1.069 5.691 0.153 -0.824 -0.508
N 0.430 3.784 -0.997 0.126 0.464 -1.023
N 0.667 0.319 3.220 1.705 0.949 -0.111
```
Forces are in eV/Å.

The total charge is +4. For the energy relative to the best compared isomer or geometry (same formula, charge and spin), the calculation gives 1040.3 kJ/mol. As for the total energy: -28163.2785 eV. As for the LUMO energy (alpha / beta): -17.7 / -17.7 eV. The value obtained for the HOMO energy (alpha / beta) is -0.799 / -0.799 Eh.

Atomic partial charges in e from the natural (NBO) method, atoms 1 to 8: 0.339 0.297 0.436 0.343 -0.834 -0.209 0.401 -0.060

***

Record 2
DFT (ωB97M-V/def2-TZVPD) results for a structure of composition C16H18N4O3 at a distorted geometry.

The geometry in XYZ format:
```
41
Properties=species:S:1:pos:R:3:forces:R:3
H 4.217 1.638 2.326 -3.213 2.003 1.285
C 2.884 1.819 2.396 10.286 -5.887 7.904
C -2.305 0.188 -0.712 -13.577 0.848 -6.997
H -1.900 1.587 3.477 0.906 1.542 1.179
H -1.214 3.723 1.966 -2.780 1.137 -0.746
C 1.087 -0.003 -0.112 11.970 1.453 6.126
C 0.586 -2.160 -1.975 -1.522 0.997 -2.850
N -1.583 -3.641 -4.835 6.933 -4.810 2.016
H 2.923 1.263 4.742 -0.112 -0.861 -2.153
N -0.328 -1.125 -1.608 -0.294 -1.878 -0.099
********
End of the calculated molecules:
4. Lunge
![]() Me doing a wall squat hooked up with electrodes |
The way these exercises are done aren’t probably the way most people think they are done. For example, the lunge is not an exercise which works the quads; instead, you are supposed to pull the lead leg into a leg curl via the hamstrings, and the rear leg is supposed to have tension pulling it back and upwards. Many of these isoextremes seek to teach the body how to lengthen muscles which may normally think we’d want to tense up in order to do the isometric exercises. It also seems that these isoextremes also train the nervous system to react in the proper way to movements and absorbing force – somehow they have found that holding static positions can train the nervous system to act while moving. Pretty cool stuff!
They gave me specific electrode placements based on issues they saw in the videos. Being experienced coaches/trainers/therapists, they didn’t need to see me live; they could pick out all my problems just by looking at my doing some movements. While the isoextremes can train me by doing them alone, they are more effective when combined with a POVsport unit and proper electrostimulation of the right muscles.
I then proceeded to train on their protocols. Before each workout, I would “loosen” using the POVsport. Depending on the settings, the POVsport can cause muscles to be conditioned or loosened – the waveform it generates is patented and is not like other electrostim units. I was skeptical at first but loosening works pretty well. The stim magnifies your normal loosening movements and helps warm up the body while causing muscles to release their tightness.
Each movement is about 8 minutes in duration, doing 1 minute of work with a minute of rest. At first, they were pretty unfamiliar and difficult. Adding the electrostim coursing through various muscles didn’t help as my muscles were thrumming at many many times per second. In the power output of the POVsport, level 100 is the level at which the body, it it can tolerate it, will experience no compensatory patterns at all. So a goal is to get to power level 100 at some point.
I also joined up with their monthly webinar series. The first one was interesting – it’s an hour of discussion and teaching through personal experiences with the POV via protocols that Jay/Charles give us, and then we observe the results after about a month. Fascinating stuff and I think necessary to really learn how to get the most out of my POV. Hooking electrodes up yourself without direction is a pretty dangerous thing – there are stories of people overloading their CNS accidentally and throwing them into a state of “restoration” which means they are mimicking a state of severe sickness and weakness! Bad news. Think I’ll walk slowly and with lots of direction….
What results after about a month of EVO training?
Some tightness – my body has a “fear” reaction to this foreign stimulus of electrostim and seems to cause some tightness in their overnight protocols while sleeping. But I switched to another one they gave us during the webinar and the tightness went away!
Some of the results were masked by me getting conjunctivitis and a spring time allergy attack. Also lack of sleep from new young kids in the house doesn’t help. But on days when I do get a good sleep, I can see a marked increase in ability – I think my resources get too tied up with managing the lack of sleep mostly and also the occasional malady that has hit over the last few weeks.
Interestingly enough, my deadlift movement has a new feeling. Before EVO workouts, I would deadlift my kids off the ground for practice, or my kettlebells or barbells and have to clench my glutes or “close off my sphincter” to make sure I am getting proper posterior chain activation. But after I started EVO training, all of a sudden I was feeling both glutes AND hamstring activation, which is better and exactly what I want! This is an awesome result.
Some of the lengthening aspects of the isoextremes have also worked well. On the standing push up, I can nearly relax my pecs so much and get them to lengthen upon contraction of my lats so much that I can nearly pull myself through a doorway. The wall squat seems to have gotten easier but it’s still a willpower challenge. Hanging from the scapular pull up, I can lengthen my lats quite a bit, but my grip suffers a ton. Charles tells me this is natural although I wish my grip were better. The lunge seems to be working on one side better. I can really flex my glutes/hams on my left side (left leg back, right leg forward) to lengthen my hip flexor and quads, but not so well with my right leg back.
The whole thing is fascinating as an experiment in using an external device to help with my training and improving aspects of my physical condition. I am looking forward to further training with the POV unit to accelerate training and fitness, and to run a marathon without cramping!